Scheduled Tour: June 23, 2025 - 10 days/ 9 nights.

The Great Paraguayan Chaco, the "Big 15 Endemic Chaco Birds" and the Amazing Mammals.

[Molecular data, kept here for reference]
********
Computed, not measured: a molecular structure, C32H36AsAuF3GeNSSi, with ωB97M-V/def2-TZVPD.

Positions of all 77 atoms, in Å:
Au1 0.398 0.045 0.502
As1 0.194 0.176 2.914
Ge1 3.152 0.240 -1.080
S1 -1.953 1.295 0.388
Si1 -5.497 0.951 0.062
F1 -1.982 0.630 -8.257
F2 0.052 1.234 -8.698
F3 -0.482 -0.867 -8.719
N1 -1.810 -1.282 0.319
C1 -0.514 1.377 -5.863
C2 -2.689 -0.230 0.271
C3 -4.538 -1.709 0.027
C4 3.273 1.557 0.319
C5 3.900 0.567 -2.810
C6 -3.655 -2.761 0.052
C7 0.683 0.142 -2.596
C8 -0.197 1.359 -4.524
C9 3.671 1.773 -3.476
C10 4.584 -0.458 -3.463
C11 -0.693 0.296 -8.098
C12 4.099 1.309 1.420
C13 0.263 0.166 -3.942
C14 0.345 1.988 3.531
C15 2.819 3.770 1.188
C16 2.624 2.793 0.221
C17 -1.405 -0.508 3.732
C18 -0.352 0.221 -6.624
C19 4.125 1.951 -4.774
C20 -4.886 2.696 0.017
C21 4.284 2.284 2.394
C22 3.651 3.515 2.273
C23 1.160 0.101 -1.459
C24 0.108 -0.960 -6.062
C25 5.040 -0.277 -4.763
C26 -6.483 0.630 1.593
C27 -4.094 -0.377 0.126
C28 -6.444 0.551 -1.474
C29 0.410 -0.995 -4.712
C30 1.640 -0.773 3.761
C31 4.806 0.924 -5.418
C32 -2.273 -2.498 0.200
H1 -5.904 0.804 2.503
H2 -1.545 -1.553 3.468
H3 -0.872 2.285 -6.330
H4 -7.263 1.267 -1.575
H5 3.958 2.891 -5.282
H6 1.641 -0.521 4.821
H7 0.773 -1.903 -4.251
H8 5.163 1.066 -6.429
H9 0.228 -1.842 -6.675
H10 -0.566 2.534 3.296
H11 5.581 -1.070 -5.263
H12 -4.231 2.903 -0.832
H13 -0.291 2.253 -3.922
H14 -4.377 2.997 0.934
H15 -7.342 1.306 1.615
H16 3.152 2.588 -2.982
H17 -1.279 -0.416 4.810
H18 1.501 -1.844 3.636
H19 1.986 3.011 -0.629
H20 4.777 -1.400 -2.961
H21 -5.829 0.622 -2.373
H22 3.540 -1.146 -0.547
H23 -4.000 -3.783 -0.035
H24 -1.550 -3.305 0.229
H25 -5.597 -1.914 -0.079
H26 1.194 2.460 3.042
H27 3.814 4.282 3.020
H28 4.626 0.365 1.509
H29 0.496 1.974 4.609
H30 -6.887 -0.446 -1.442
H31 4.942 2.094 3.232
H32 -2.268 0.074 3.416
H33 -5.770 3.331 -0.091
H34 2.338 4.735 1.090
H35 2.581 -0.467 3.309
H36 -6.869 -0.391 1.624

multiplicity = 3
charge = +2
E_HOMO (spin up / spin down) = -13.80 / -13.82 eV
calculated total energy = -183154.81994 eV
relative energy (zero: lowest compared OMol25 entry of this formula, charge and spin) = 66.79 kJ/mol

Computed, not measured: a single C32H36N2O7 molecule, with ωB97M-V/def2-TZVPD.

Positions of all 77 atoms, in Å:
O1 1.582 -0.053 3.971
O2 -2.370 3.906 -3.500
O3 -0.745 2.028 3.534
O4 -3.450 0.996 3.190
O5 -0.371 -1.142 3.833
O6 4.386 -1.387 -2.778
O7 2.478 -2.424 -2.123
N1 -2.908 1.961 -2.487
N2 2.396 -0.320 -2.858
C1 -2.302 2.697 -3.440
C2 1.007 -0.246 -2.452
C3 1.789 0.185 1.249
C4 -0.416 -0.750 1.022
C5 1.533 -4.069 1.575
C6 -1.532 2.857 0.028
C7 -0.305 -0.671 -0.350
C8 0.644 -0.348 1.833
C9 2.101 -3.475 0.462
C10 0.537 -0.554 3.294
C11 1.892 0.259 -0.127
C12 2.596 -4.252 -0.577
C13 2.527 -5.635 -0.479
C14 3.204 -3.603 -1.790
C15 -1.560 1.854 -4.487
C16 -2.714 1.611 2.230
C17 -0.766 0.762 -3.833
C18 0.325 0.942 -3.095
C19 -2.828 2.377 -0.078
C20 3.193 -1.382 -2.595
C21 -2.585 1.293 -5.474
C22 0.943 2.284 -2.843
C23 0.862 -0.198 -0.941
C24 -1.409 2.126 2.333
********

PBNPY4_10 days/ 9 nigths.

This fantastic 10-day tour to this site considered one of the last wild corners on the planet, will allow us to understand the expression "Chacu". Towards the end of the 15th Century, the Inca Empire was expanding its domains reaching the Great Chaco. In fact, the meaning of the word "Chaco" is related to the expression "Chacu", a term that denominated the ceremonial practice hunting of the inhabitants of the south of the Inca Empire. The fauna and the flora of the Chaco were, since then, valued for its splendor and diversity. In fact, the savannah of the Dry Chaco is part of the second largest ecosystem of South America, following the Amazon's. Great zones of this region conserve an exemplary sample of the Chaco landscape, including the transition from semi-arid zones to most humid ones close to the rivers, characterized among others by the spectacular saltwater lagoons of the Central Chaco. The vegetation in this area conserves mixed savannahs, humid tropical forests, shrubby forests and seasonally flooded lands. Cruising the roads that cross the Paraguayan Chaco, one can observe large extensions of flooded palms, high forests of quebracho and, in the border zones of the Bolivian Chaco, sand formations typical of desert regions, covered by diverse species of thorny vegetation. This region contains a high diversity of flora, embracing nearly 4,000 different species of plants.

The Chaco is home to a great diversity of birds; more than 500 species are found in the Paraguayan Chaco.  About 30 species and subspecies are considered endemic to the Chaco Biome, 18 of them are found in Paraguay, and the elusive sub-species of Spotted Nothura, the Chaco Nothura is exclusive to Paraguay, and it is very possible to see it during this tour. It also includes species that nest and remain in these territories as well as species that migrate annually from the north and from the south. Without any doubt that the Gran Chaco is the best place in South America to observe mammals throughout the American continent and that is the great plus of this trip. You will be surprised by the quantity and quality of mammals that you will add to your list!, and a large variety of snakes, lizards and frogs will surprise you, with a highlight for these last two with interesting species such as Coraline Frog, Paradox Frog, Fuscous Frog, Horned Toad, Rococo Toad and Granulated Toad, Shovel-nosed Chamber Frog and Weeping Dwarf Frog, among others. Reptiles might include Green Jungle Runner, Western Collared Spiny Lizard, Chaco Leaf-footed Gecko, Chaco Straight-toed Gecko, Four-toed Whiptail Lizard and Point-nosed False Chameleon and many others.

Tour details

  • Length: 10 days
  • Species in the trip: 495 Number of Bird Species Expected: 240 – 300
  • Tour Pace & Walking: Some long drives, mostly relaxed with some night drives and walks.
  • Focus: Bird and wildlife observation.
  • Recommended season: From July to November*.
  • Suggested extensions: Depending on the number of additional days you have and the species of your interest, we suggest that you observe our list of Paraguay and Regional Tours that are easy to connect.

Ecoregions visited in this tour

Go to our Photo Gallery
Great Rufous Woodcreeper_© John Sterling
Great Rufous Woodcreeper_© John Sterling
Quebracho-crested Tinamou_© Oscar Bordon
Quebracho-crested Tinamou_© Oscar Bordon
Checkered Woodpecker_© John Sterling
Checkered Woodpecker_© John Sterling
Chaco Earthcreeper_© John Sterling
Chaco Earthcreeper_© John Sterling
Geoffroy's Cat_© Antotang
Geoffroy's Cat_© Antotang
Chaco Peccary_© Oscar Bordon
Chaco Peccary_© Oscar Bordon

Top species of Birds

Below is the list of Dry Chaco endemic birds that are found in Paraguay and in bold the 15 species that we hope to observe in this tour: Brushland Tinamou, Quebracho Crested-tinamou, Chaco Chachalaca, Chaco Owl, Cream-backed Woodpecker, Black-bodied Woodpecker, Black-legged Seriema, Spot-winged Falconet, Crested Gallito, Great Rufous Woodcreeper, Scimitar-billed Woodcreeper, Chaco Earthcreeper, Crested Hornero, Dinelli’s Doradito, Cinereous Tyrant, Many-colored Chaco-finch, Black-capped Warbling-Finch and Stripe-capped Sparrow. Additionally, there is an important variety of species well associated to the Chaco, difficult to observe in other places and that are found with greater abundance in the Paraguayan Chaco. Some of them are: In the Humid Chaco; Jabiru, Maguari and Wood Storks, Roseate Spoonbill, Savanna,Great Black and Black-collared Hawk, Snail Kite, Limpkin, Giant Wood-Rail, Wattled Jacana, Plumbeous,Bare-faced and Buff-necked Ibis, Swainson's and Brown-crested Myiarchus, Yellow-billed Cardinal, Vermillion Flycatcher, White-faced Whistling-Duck and Brazilian Duck. In the Central Chaco; Great Horned Owl, Tropical Screech-Owl, Scissor-tailed and Little Nightjar, Pauraque, Golden-collared Macaw. In the Dry Chaco; Great Antshrike, Black-bellied Antwren and Bolivian Slaty-antshrike, Black-crested Finch,  Harris and Zone-tailed Hawks, the endangered Crowned Eagle, Black-backed Grosbeak,  Scaly-headed Parrot, Nanday,Blue-crowned and Monk Parakeets and Turquoise-fronted Parrot.

Top species of Mammals

Jaguar, Puma, Jaguarundi, Ocelot and Geoffroy´s Cat, Lowland Tapir,  Chaco, Collared and White-lipped Peccary, Azara’s Night Monkey and  Chacoan Titi Monkey, Giant, Three, Six and Nine-banded and Lesser Hairy Armadillo, Maned Wolf, Crab-eating and Pampa´s Fox, Crab-eating Raccoon, Grey Brocket Deer, Chaco Mara, Tyra, Capybara, Giant and Tamandua Anteaters and many others.

Bird list of Top Hotspots

Tour Map

Program Summary

Day 1 – ARRIVAL IN ASUNCIÓN. Please book flights to arrive in Asunción during this day. If time allows, we will visit the wetlands and shores of the Bahía Asunción. Overnight in Asunción.

Day 2 – HUMID CHACO, LAGUNA CAPITÁN, LOMA PLATA. Early in the morning, we will cross the River Paraguay and visit a ranch dedicated to the cattle ranch and that in its well preserved natural reserves, it conserves a rich variety of birds and mammals with characteristics of the Humid Chaco. This will also be our gateway to the Gran Chaco. After about 3 hours of bird watching, depending on the activity, we will continue. We will bird our way through the Humid Chaco on our way west. We will have lunch on the way in a restaurant well-known for its tasty "empanadas", and begin our drive west towards the region of Loma Plata. We will visit the Laguna Capitan Reserve this first afternoon. This site will surprise us for its variety and quality of bird species, which will most likely already give us more than 1 of our Chaco target species. Overnight in Loma Plata.

Day 3 – CHACO LODGE – IPAROMA RANCH. Full day in the main saltwater lakes of the Central Chaco area. Our birding of the Dry Chaco begins today. We will visit some saltwater lakes, as well as Chaco woodlands today and we will make sure to try some mammal watching at night. Overnight in Iparoma Ranch.

Day 4 – Full day PARQUE NACIONAL DEFENSORES DEL CHACO. Overnight in Filadelfia. We will go out in the early morning to look for the birds and mammals with dawn habits. We will have organized a field meal to make the most of this trip to the largest natural reserve in Paraguay. We will take hikes in the reserve and, in the evening we will use lighting with powerful lanterns to look for the cats and mammals in general. In the early morning, we will arrive in Filadelfia again.

Day 5 – FORTIN TOLEDO, PARQUE NACIONAL TENIENTE ENCISO. We will have some time to bird and visit a breeding facility for the Chaco Peccary today in the morning. Later on, if we have not found most of our Chaco specialties by now, Parque Nacional Teniente Enciso will hopefully make up for the difference as this is a key place for the rarer Chaco birds. Overnight in PN Teniente Enciso.

Day 6 – PARQUE NACIONAL TENIENTE ENCISO. A final full day of birding in the Dry Chaco. Overnight in PN Teniente Enciso.

Day 7 – PN TENIENTE ENCISO, RETURN TO NEULAND. Today will be the start of our journey back towards Asunción. The road is slow and does not al­low us to do it all in one day, so we will stop in Neuland overnight. This gives us a chance to move at a more leisurely pace and hopefully find the last of the Chaco specialties. Overnight in Neuland.

Day 8 –  NEULAND. Early in the morning, we will go to the Selva Serena Reserve to have another chance to see the specialties of the Chaco . Overnight in Neuland.

Day 9 –RETURN TO ASUNCIÓN. We have a day to make our way back towards the southeast, and we will make sure to stop and enjoy some birding and scenery as we head to Asunción for our final dinner together. Overnight in Asunción.

Day 10 – END TO YOUR TOUR EXPERIENCE. Final departure.

More information of the tour, contact us!

If you are interested in the tour and want more details, write to our e-mail and we will gladly help you build your ideal tour. Do not forget that all our tours are ready to be adapted to your needs (Examples: more or less tour days, special species that you want to observe, emphasis on the group of animals or plants of your preference, add cultural and / or anthropological content, type of lodgings, level of meals, etc.).

Important Notes

This Tour includes*:

  • All meals from lunch on second day to breakfast on the penultimate day of the program (depending on the tour that you choose);
  • Bottled drinking water;
  • All lodgings, from the second night of second day  until the penultimate  night of the tour mentioned in the program;
  • Ground transportation;
  • Reserve entrance fees; and
  • All guiding services (not including tips for local guides and services).

The tour fee does not include:

Calculated molecules from another source follow:
<<<
The following is a quantum chemistry calculation of a 6-piece molecular cluster, C34H51ClFN2O16 overall in a non-equilibrium geometry, from the OMol25 dataset.

XYZ file:
```
105
Properties=species:S:1:pos:R:3:forces:R:3:lowdin_charge:R:1
C 1.5757 -3.7508 4.3252 -0.3 0.1 -0.7 -0.12
C 0.9418 -2.6353 3.3153 1.2 -0.2 0.1 -0.26
C 0.8469 -3.1971 1.8127 0.8 -0.1 0.5 -0.22
C 0.2087 -2.1692 0.7552 0.7 -0.3 0.6 -0.16
C -1.2363 -2.5840 0.1826 -0.6 1.0 0.2 -0.14
C -2.1603 -3.3809 1.2013 -2.2 -1.2 2.6 0.04
C -2.9989 -2.6610 2.3296 0.4 -3.4 -0.6 -0.02
C -3.0095 -1.0497 2.4942 -2.1 -1.0 0.6 -0.08
C -4.2029 -0.5366 1.5154 1.4 0.5 -5.1 -0.67
O -4.0068 -0.4251 0.2753 -0.7 -0.6 5.6 -0.01
Cl -5.8839 -0.1286 2.1047 1.8 -0.6 0.1 0.62
C -3.8259 -3.6044 3.2824 3.2 0.7 -3.8 0.11
N -3.7518 -5.0123 3.0412 -0.9 3.2 1.2 0.03
N -3.1150 -5.6980 2.1048 1.9 3.1 -2.0 0.16
C -2.3338 -4.9607 1.1902 0.1 1.6 1.1 -0.04
C -1.5557 -5.7829 0.0414 -1.2 -0.9 -0.4 -0.24
F -0.1999 -6.1040 0.3833 -2.0 1.0 -0.2 -0.03
C -2.2795 -7.1554 -0.3695 -0.1 -0.1 -0.8 -0.19
C -3.8549 -7.0192 -0.6659 -0.4 -0.5 -0.1 -0.12
H 2.2362 -4.4718 3.7119 -1.1 1.1 1.0 0.08
H 0.7228 -4.3476 4.8096 1.4 0.8 -0.6 0.07
H 2.2600 -3.2729 5.1156 -1.3 -0.7 -1.1 0.08
H 1.6983 -1.7734 3.3087 -1.3 -1.0 -0.1 0.11
H -0.0535 -2.2333 3.7149 1.3 -0.6 -0.6 0.09
H 1.9376 -3.3977 1.4791 -1.8 0.2 0.6 0.13
H 0.3443 -4.2212 1.8628 0.5 1.4 -0.4 0.09
H 0.9557 -2.0944 -0.1243 -1.6 0.1 1.3 0.13
H 0.1635 -1.1385 1.2643 0.0 -1.5 -0.9 0.12
H -1.7911 -1.5928 -0.0464 0.7 -1.7 0.3 0.12
H -1.0767 -3.0888 -0.8257 -0.5 0.3 1.6 0.10
H -2.0016 -0.5806 2.2376 -1.6 -0.7 0.2 0.13
H -3.3735 -0.7793 3.5584 1.0 -0.5 -1.6 0.13
H -4.4098 -3.0993 4.1159 0.7 -1.5 -1.1 0.15
H -4.2960 -5.5876 3.7248 0.8 0.3 -0.6 0.15
H -1.5769 -5.1151 -0.8967 0.4 -0.9 1.6 0.14
H -2.1191 -8.0059 0.3724 0.0 1.5 -0.8 0.12
H -1.7833 -7.4861 -1.3614 -0.6 0.6 1.8 0.13
H -4.4378 -7.7465 0.0196 0.9 1.3 -1.1 0.09
H -4.2916 -5.9782 -0.4942 0.7 -1.3 -0.2 0.07
H -4.0863 -7.3212 -1.7574 0.4 0.6 1.8 0.09
C -1.8900 -1.1283 -5.9573 0.2 0.4 -0.3 -0.02
C -0.8762 -1.3809 -4.8618 -0.7 -0.2 -1.0 -0.34
C -1.4802 -1.9102 -3.5937 -0.3 -0.6 0.2 -0.11
O -0.5818 -1.4296 -2.5990 0.2 0.4 -0.1 0.02
C -0.0097 -0.2970 -3.1042 0.7 0.9 0.3 -0.52
O 0.6469 0.4694 -2.4615 -0.6 -0.6 -0.4 0.16
O -0.2829 -0.1583 -4.4297 0.2 -0.1 0.9 0.09
H -1.3828 -0.8281 -6.8776 -0.1 -0.1 0.1 0.09
H -2.4825 -2.0222 -6.1650 0.1 0.0 0.1 0.09
H -2.5622 -0.3083 -5.6902 0.0 -0.2 0.1 0.10
H -0.0780 -2.0355 -5.2284 0.0 0.0 0.1 0.16
H -1.5228 -3.0014 -3.5788 0.1 0.1 0.1 0.14
H -2.4784 -1.5126 -3.3845 0.0 0.1 -0.2 0.14
C -7.0491 -4.2734 8.8100 0.3 0.1 0.3 -0.01
C -6.3956 -4.1832 7.4477 -0.8 0.2 0.9 -0.34
C -7.0378 -5.0603 6.4136 -0.9 0.1 -0.2 -0.09
O -5.9516 -5.3464 5.5358 0.9 0.0 0.0 0.04
C -4.8122 -5.2520 6.2808 0.6 -0.1 0.6 -0.54
O -3.7308 -5.6193 5.9082 -0.8 0.3 -0.2 0.14
O -5.0610 -4.6891 7.4907 0.4 -0.5 -1.1 0.10
H -6.5951 -3.5520 9.4938 -0.1 0.0 -0.1 0.09
H -8.1203 -4.0677 8.7518 0.1 0.0 -0.1 0.10
>>>

  • Visa fees;
  • ANY flights (see above);
  • Passenger insurance (we recommend taking passenger insurance for trips to Paraguay and the region);
  • Any alcoholic drinks;
  • Special gratuities; and
  • Telephone calls, laundry and other items of a personal nature and other items not mentioned as expressly included.
*: Likewise all services included and not included will be clearly stipulated in our travel agreement according to the characteristics of the tour and your needs.

To see more details of terms and conditions of our tours click here.